This page allows for assembly multi-term queries where each term describes a condition for a specific field.
- Use the field dropdown to select the document field to search on.
The options in the comparison dropdown change depending on what field is currently selected, in order to only display valid comparison types for that field.
For example, the "grouping" field cannot be compared against a value using the "greater than" comparison because the value should be a word, not a number.
- Enter any text or numbers into the value field as the value to compare the specified field against using the specified comparison operator.
The include synonyms checkbox forces the query to not only search for the exact value in the "value" field, but also for all synonyms of that value that are on record.
For example, if "copper" is entered into the "value" textbox and the "include synonyms" box is checked, the query will search for documents containing "copper" or "Cu."
This option is checked by default.
Deselect this box in order to only search for the exact value in the "value" field.
Click on the AND button to add another term to the query using the "and" conjunction.
This causes the query to search for documents where the current term (that was just added) is fulfilled AND the next term (that is about to be added) is also fulfilled.
Click on the OR button to add another term to the query using the "or" conjunction.
This causes the query to search for documents where either the next term OR the current term is fulfilled.
Example: search for documents where the sample description contains the word "copper" or "Cu" and the grouping is "ILIAS UKDM" by:
- selecting "sample.description" from the "field" dropdown,
- selecting "contains" from the "comparison" dropdown,
- entering the word "copper" into the "value" textbox (do not deselect the "include synonyms" box),
- pressing the "AND" button,
- selecting "grouping" from the "field" dropdown,
- selecting "equals" from the "comparison" dropdown,
- entering the phrase "ILIAS UKDM" into the "value" field, and
<<<
# C11H14ClOP

C11H14ClOP as an isolated structure at a distorted geometry (wB97M-V/def2-TZVPD, the Open Molecules 2025 dataset).

Geometry as XYZ:
```
28
Properties=species:S:1:pos:R:3:forces:R:3
Cl 1.0455 -0.4639 3.5767 1.5 -0.3 1.7
P -0.1866 -0.2527 2.0584 -1.4 1.6 -1.4
O 0.9713 1.2245 -0.1288 0.5 -3.9 0.8
C 0.2919 3.3921 0.3923 -1.8 -0.8 3.2
C 1.3153 -1.4349 -1.7225 0.9 1.0 -0.9
C -0.2583 1.6318 1.8735 0.2 -3.4 -0.5
C -1.0005 3.7589 2.4079 -1.6 2.5 0.8
C -1.0153 -0.9110 -0.9057 0.8 -2.6 -0.4
C -0.9810 2.4296 2.7230 -0.3 -1.2 1.0
C 0.9619 -0.4381 0.6190 0.3 2.0 -1.3
C -0.3781 4.2633 1.2531 0.4 -1.4 0.5
C 0.4168 -1.4254 -0.4737 -0.1 0.9 0.6
C 0.3396 2.0216 0.6916 -0.6 1.7 1.0
C 0.3042 -2.8063 0.2300 3.7 0.2 -3.1
H 0.1946 -3.4451 -0.7023 -0.9 -0.1 1.8
H -1.4390 1.8596 3.5935 0.3 1.5 -1.0
H -1.6052 4.5405 2.9849 1.0 -1.4 -0.5
H -1.5854 -1.7650 -1.4977 1.2 2.0 1.1
H 0.7555 3.5517 -0.4741 1.8 1.8 -3.3
H 0.9875 -2.1427 -2.5664 -0.4 1.7 1.0
H -0.2761 -2.7844 1.0975 -1.7 -0.6 0.7
H 2.3458 -1.7902 -1.6503 0.1 -0.3 1.1
H -0.3939 5.3309 1.2056 0.1 0.4 -0.8
H 1.3446 -3.0708 0.5836 -0.8 0.2 -0.2
H 2.0245 -0.5453 0.9997 -1.1 0.0 -0.9
H -0.8520 -0.0029 -1.4438 -0.3 0.4 -0.7
H 1.5310 -0.3079 -1.9429 -1.0 -2.1 -0.5
H -1.5382 -0.6857 0.0009 -0.8 0.0 0.4
```
Forces are in eV/Å.

E_LUMO: 0.63 eV
energy relative to the best compared isomer or geometry (same formula, charge and spin): 24.4 kcal per mole

***

# C11H14F3IN4O4S

One molecule with the formula C11H14F3IN4O4S at a distorted geometry (wB97M-V/def2-TZVPD, the Open Molecules 2025 dataset).

Geometry as XYZ:
```
38
Properties=species:S:1:pos:R:3:forces:R:3
I -1.8577 -1.6708 -2.6352 -0.1 0.7 0.3
S 1.1606 -2.3686 0.8294 2.1 -1.2 4.2
F -0.6707 -3.8496 -0.3316 0.5 0.6 -0.5
F 1.2119 -4.7998 -0.0160 0.0 0.8 0.1
F 1.0776 -3.4378 -1.6623 -0.5 0.5 0.4
O 2.0665 -0.0918 -4.2027 -0.5 0.5 0.0
O 0.2614 -2.4888 1.9590 -1.2 1.0 -1.8
O 1.2334 -0.6061 -2.3459 -0.7 -1.1 1.5
O 2.4737 -2.7802 1.2848 -0.1 0.4 -2.0
N 1.5113 0.3954 -3.3015 1.1 0.3 -1.0
N 3.2046 0.3713 1.8394 2.3 1.3 1.6
N 0.5737 2.5409 -0.9458 0.7 2.8 -1.7
N 0.1761 0.5708 1.8906 0.2 0.8 -1.0
C -1.3594 2.6481 2.0923 1.0 0.6 0.4
C 2.0774 -0.5342 -1.2055 1.3 -0.9 -0.6
C -2.1354 -0.0722 -1.1524 -1.3 0.4 0.3
>>>
- pressing the "search" button.
As terms are added to the query, the previously added terms are displayed above the query creation boxes in the "current query" section.
**Someone pasted quantum chemistry results at this point:**
____________
Computed, not measured: a cluster of 2 separate species, C3H9N3 in total, with ωB97M-V/def2-TZVPD.

Calculated values
SMILES: [H]/N=C/N.C=CN
Energy relative to the best compared isomer or geometry (same formula, charge and spin) (eV): 1.461
LUMO energy (eV): 1.13
E_HOMO (eV): -8.15
Gap between HOMO and LUMO (eV): 9.3
E (eV): -7726.113

```
! RIJCOSX wB97M-V def2-TZVPD def2/J DEFGRID3
* xyz 0 1
H 0.5257 0.5261 -0.2683
N 0.2137 0.5204 -1.2570
C 1.3088 0.5511 -1.9743
N 1.3636 0.8125 -3.2936
H 2.3155 0.3914 -1.5369
H 0.4562 0.9788 -3.7094
H 2.1076 0.4434 -3.8614
C -0.3927 0.5520 2.0315
C -0.6902 -0.7680 2.1550
N -1.7734 -1.4942 1.5579
H -1.0540 1.2069 1.4124
H 0.2505 1.0182 2.7614
H -0.0987 -1.4010 2.8021
H -2.5127 -1.0429 1.0592
H -2.0199 -2.2947 2.1214
*
```

---

Computed, not measured: a cluster of 13 separate species, C26H78O26 in total, with ωB97M-V/def2-TZVPD.

Calculated values
Energy relative to the best compared isomer or geometry (same formula, charge and spin) (eV): 2.117
LUMO energy (eV): 0.26
E_HOMO (eV): -9.36
Gap between HOMO and LUMO (eV): 9.6
E (eV): -81455.048

```
! RIJCOSX wB97M-V def2-TZVPD def2/J DEFGRID3
* xyz 0 1
C -5.3808 0.1100 -0.0945
C -4.4319 -0.9190 -0.6211
O -3.0746 -0.6436 -0.3506
O -5.4300 0.1067 1.3558
H -6.3852 0.1304 -0.5466
H -5.1189 1.1485 -0.3689
H -4.5359 -0.8921 -1.7089
H -4.7981 -1.9002 -0.2826
H -3.0100 -0.4615 0.6112
H -6.1905 0.5973 1.6719
C 0.6734 -0.6835 0.8281
C 0.5257 -0.5050 -0.6707
O 1.1466 -1.5663 -1.3209
O 0.0225 0.3337 1.5771
H 1.7273 -0.7753 1.1080
H 0.2810 -1.6567 1.1521
H 0.9229 0.5071 -0.8805
H -0.5255 -0.2810 -0.8976
H 0.6396 -1.7730 -2.1175
H 0.6952 0.6074 2.2224
C 4.6469 -2.1997 -0.2238
C 4.3373 -0.9322 -0.9872
O 4.0496 -1.2987 -2.3460
O 3.4239 -2.7250 0.3675
H 5.3498 -1.9989 0.5828
H 5.0175 -2.9994 -0.8621
H 5.2110 -0.2468 -0.9650
H 3.5617 -0.2978 -0.5336
H 3.7357 -0.5084 -2.8044
H 2.8235 -2.7858 -0.3932
C 2.2618 -1.7272 -6.6963
C 2.6824 -0.8175 -5.5661
O 2.5415 -1.3595 -4.2521
O 0.8348 -1.8587 -6.8760
H 2.7278 -2.7177 -6.6116
H 2.5841 -1.3618 -7.6803
H 2.1135 0.1054 -5.7545
H 3.7255 -0.5786 -5.8238
H 2.1599 -2.2727 -4.2581
H 0.7107 -2.7978 -7.0073
C 3.8574 -2.3281 3.9214
C 2.6397 -1.9445 4.7473
O 1.7716 -1.0870 4.0548
O 3.5032 -3.4521 3.0858
H 4.6941 -2.6621 4.5466
H 4.2591 -1.5520 3.2601
H 2.9235 -1.4910 5.7054
H 2.1114 -2.8711 4.9585
H 2.1835 -0.3935 3.5270
H 3.5013 -3.1904 2.1435
C 4.2272 -4.5115 -2.9572
C 2.8623 -4.2305 -2.3532
O 1.8962 -4.0154 -3.3678
O 5.2591 -4.5683 -1.9779
H 4.4563 -3.8103 -3.7645
H 4.2000 -5.5128 -3.4036
H 2.9669 -3.4094 -1.6342
H 2.6038 -5.1296 -1.7728
H 1.1249 -3.6282 -2.8881
H 5.9399 -3.9496 -2.2493
C -3.4873 1.9190 3.9731
C -4.1559 3.1923 4.4300
O -3.1876 4.1297 4.8614
O -2.6496 2.1756 2.8176
H -4.2341 1.1997 3.6254
H -2.9060 1.5076 4.8020
H -4.8108 2.8821 5.2419
H -4.6943 3.6672 3.6069
H -2.7139 4.4103 4.0723
H -2.4243 1.2644 2.5220
C 0.0418 4.2276 4.1688
C 1.3088 5.0176 4.3360
O 2.3208 4.1958 4.9049
O 0.1072 3.2784 3.0822
H -0.6314 5.0001 3.7555
____________
**So much for the quantum chemistry results:**
Once the search is pressed, the final query is displayed below the creation boxes in the "final query" section and the results are displayed at the bottom of the page as a list of summaries.
To view more details on an individual document in the results list, click on its summary.
Click on the summary again to hide the full document.